## Wanted
Your job: retype only the last part of the block below, starting with the line that has "'x,-y+1/2,z+1/2'".

## Entries
- - -
An optimized crystal structure of Cs2ZnF, computed with GGA-PBE.

Properties
**ΔE_f (raw)**: -3.40 eV per formula unit
**Raw total energy**: -8.25 eV for the cell shown
**Calculated volume**: 37.73 Å³/atom
**Space-group type**: Fm-3m (225)

```
Cs2ZnF
1.0
-5.047 0.133 3.198
-3.765 4.608 -0.549
-5.274 -0.756 -2.707
Cs Zn F
2 1 1
Cartesian
-3.521 0.996 -0.015 Cs
-10.564 2.989 -0.044 Cs
-7.043 1.992 -0.029 Zn
0.000 0.000 0.000 F
```

An optimized crystal structure of Cs3ZnF4, computed with GGA-PBE.

Properties
**ΔE_f (raw)**: -18.07 eV per formula unit
**Raw total energy**: -58.77 eV for the cell shown
**Calculated volume**: 25.70 Å³/atom
**Space-group type**: Pmn2_1 (31)

```
Cs3ZnF4
1.0
-4.186 -4.038 1.847
-1.505 -1.099 -5.813
7.559 -8.036 -0.438
Cs Zn F
6 2 8
Cartesian
-3.468 -3.072 -3.486 Cs
0.612 -2.978 -4.332 Cs
-0.759 -4.475 -0.631 Cs
3.231 -4.467 -1.438 Cs
3.018 -8.490 -0.850 Cs
4.394 -6.999 -4.552 Cs
-0.525 -0.421 -1.338 Zn
0.386 -7.024 -3.628 Zn
-1.603 -1.224 -5.210 F
-3.435 -3.209 -0.406 F
1.181 -2.247 -1.427 F
-1.336 -5.213 -3.533 F
1.826 -5.654 -3.912 F
1.329 -6.352 0.303 F
2.088 -8.853 -3.731 F
5.316 -6.643 -1.667 F
```


# Rb2NaZn2H5C4O14 (GGA-PBEsol, optimized geometry)
data_Rb2NaZn2H5C4O14
_cell_length_a 5.189
_cell_length_b 11.234
_cell_length_c 11.676
_cell_angle_alpha 90.00
_cell_angle_beta 114.40
_cell_angle_gamma 90.00
_space_group_name_H-M_alt 'P 1 21/c 1'
_space_group_IT_number 14
loop_
_space_group_symop_operation_xyz
'x,y,z'
'-x,-y,-z'
'-x,y+1/2,-z+1/2'
'x,-y+1/2,z+1/2'
loop_
_atom_site_label
_atom_site_type_symbol
_atom_site_fract_x
_atom_site_fract_y
_atom_site_fract_z
Rb1 Rb 0.040 0.166 0.076
Na1 Na 0.000 0.000 0.500
Zn1 Zn 0.329 0.608 0.794
H1 H 0.051 0.696 0.177
H2 H 0.380 0.668 0.222
H3 H 0.500 0.000 0.000
C1 C 0.288 0.071 0.817
C2 C 0.428 0.125 0.434
O1 O 0.056 0.062 0.832
O2 O 0.206 0.164 0.444
O3 O 0.246 0.714 0.249
O4 O 0.294 0.110 0.715
O5 O 0.335 0.615 0.966
O6 O 0.424 0.092 0.327
O7 O 0.473 0.541 0.591
# total magnetization	0.0	μB per formula unit
# calculated total energy	-0.232	Ha/atom
- - -

## Outcome
'x,-y+1/2,z+1/2'
loop_
_atom_site_label
_atom_site_type_symbol
_atom_site_fract_x
_atom_site_fract_y
_atom_site_fract_z
Rb1 Rb 0.040 0.166 0.076
Na1 Na 0.000 0.000 0.500
Zn1 Zn 0.329 0.608 0.794
H1 H 0.051 0.696 0.177
H2 H 0.380 0.668 0.222
H3 H 0.500 0.000 0.000
C1 C 0.288 0.071 0.817
C2 C 0.428 0.125 0.434
O1 O 0.056 0.062 0.832
O2 O 0.206 0.164 0.444
O3 O 0.246 0.714 0.249
O4 O 0.294 0.110 0.715
O5 O 0.335 0.615 0.966
O6 O 0.424 0.092 0.327
O7 O 0.473 0.541 0.591
# total magnetization	0.0	μB per formula unit
# calculated total energy	-0.232	Ha/atom